Excerpt =
+++
No. 1
Simulated powder diffraction line list
Compound: RbCo2Se2
Radiation: Cu Ka
Structure: DFT lattice parameters and positions (PBE)
Lines closer than 0.1° are merged.

Structural model:
```
data_RbCo2Se2
_chemical_formula_sum 'Rb2 Co4 Se4'
_space_group_name_H-M_alt 'I 4/m m m'
_space_group_IT_number 139
_space_group_name_Hall '-I 4 2'
_cell_length_a 3.909
_cell_length_b 3.909
_cell_length_c 13.508
_cell_angle_alpha 90.00
_cell_angle_beta 90.00
_cell_angle_gamma 90.00
loop_
_atom_site_label
_atom_site_type_symbol
_atom_site_fract_x
_atom_site_fract_y
_atom_site_fract_z
Rb1 Rb 0.000 0.000 0.000
Co1 Co 0.000 0.500 0.250
Se1 Se 0.000 0.000 0.346
```

Top 6 peaks for 2θ = 10–90°, low angle first:
- 2θ 13.11, intensity 300, hkl 0 0 2
- 2θ 30.28, intensity 1000, hkl 1 0 3
- 2θ 35.08, intensity 275, hkl 1 1 2
- 2θ 46.46, intensity 348, hkl 2 0 0
- 2θ 52.42, intensity 435, hkl 1 1 6
- 2θ 56.46, intensity 330, hkl 2 1 3

---

No. 2
Simulated powder diffraction line list
Compound: Zn3PCl3O4
Radiation: Cu Ka
Structure: DFT lattice parameters and positions (PBE)
Lines closer than 0.1° are merged.

Structural model:
```
data_Zn3PCl3O4
_chemical_formula_sum 'Zn9 P3 Cl9 O12'
_space_group_name_H-M_alt 'R 3'
_space_group_IT_number 146
_space_group_name_Hall 'R 3'
_cell_length_a 12.4821
_cell_length_b 12.4821
_cell_length_c 4.4581
_cell_angle_alpha 90.00
_cell_angle_beta 90.00
_cell_angle_gamma 120.00
loop_
_atom_site_label
_atom_site_type_symbol
_atom_site_fract_x
_atom_site_fract_y
_atom_site_fract_z
Zn1 Zn 0.0161 0.8412 0.0000
P1 P 0.0000 0.0000 0.5092
Cl1 Cl 0.1808 0.3686 0.9253
O1 O 0.0000 0.0000 0.1498
O2 O 0.0494 0.9139 0.6015
```

Top 6 peaks for 2θ = 10–90°, low angle first:
- 2θ 14.19, intensity 1000, hkl 1 1 0
- 2θ 21.56, intensity 457, hkl 1 0 1
- 2θ 25.91, intensity 550, hkl 0 2 1
- 2θ 28.61, intensity 707, hkl 2 2 0
- 2θ 29.66, intensity 510, hkl 3 -1 1
- 2θ 36.10, intensity 426, hkl 4 -3 1

---

- What is the formula in the first record?
  RbCo2Se2

~~~~~

(1)
# Na2MgCdSn2Pd2
Theoretical powder diffractogram, Cu Ka. Input: a DFT-relaxed cell (PBE, OQMD).
Lines closer than 0.1° are merged.

Most intense lines, 2θ from 10° to 90°, by intensity:
d/Å  2theta  intensity
2.402  37.43  100
1.387  67.53  34
3.923  22.67  22
1.699  53.98  17
2.049  44.21  11
1.201  79.85  11
1.559  59.28  5
3.398  26.23  4

Crystal structure
Lattice parameters (Å, degrees): 4.8044 4.8044 6.7962 90.00 90.00 90.00
Positions (direct):
Na  0.0000  0.5000  0.2477
Na  0.5000  0.0000  0.7523
Mg  0.0000  0.0000  0.5000
Cd  0.5000  0.5000  0.0000
Sn  0.0000  0.0000  0.0000
Sn  0.5000  0.5000  0.5000
Pd  0.0000  0.5000  0.7387
Pd  0.5000  0.0000  0.2613

=====

(2)
# Cu2GeTeS2
Theoretical powder diffractogram, Cu Ka. Input: a DFT-relaxed cell (PBE, OQMD).
Lines closer than 0.1° are merged.

Most intense lines, 2θ from 10° to 90°, by intensity:
d/Å  2theta  intensity
3.232  27.60  100
3.172  28.14  86
1.965  46.20  78
1.679  54.66  35
2.820  31.73  29
1.979  45.84  24
1.654  55.58  23
1.925  47.23  19

Crystal structure
Lattice parameters (Å, degrees): 6.7146 6.7146 6.7146 145.71 61.40 130.73
Positions (direct):
Cu  0.1841  0.0000  0.1841
Cu  0.8159  0.0000  0.8159
Ge  0.5863  0.0863  0.5000
Te  0.2714  0.2714  0.0000
S  0.6134  0.2846  0.3288
S  0.9558  0.2846  0.6712

=====

(3)
# LaPrP2Os2Se2
Theoretical powder diffractogram, Cu Ka. Input: a DFT-relaxed cell (PBE, OQMD).
Lines closer than 0.1° are merged.

Most intense lines, 2θ from 10° to 90°, by intensity:
d/Å  2theta  intensity
2.503  35.88  100
2.066  43.83  34
3.801  23.40  25
1.262  75.34  23
1.573  58.71  20
2.425  37.07  19
2.547  35.24  16
1.415  66.04  16

Crystal structure
Lattice parameters (Å, degrees): 4.1315 4.1315 9.7018 90.00 90.00 90.00
Positions (direct):
La  0.0000  0.0000  0.0000
Pr  0.5000  0.5000  0.5310
P  0.0000  0.0000  0.3887
P  0.5000  0.5000  0.1437
Os  0.0000  0.5000  0.2665
Os  0.5000  0.0000  0.2665
Se  0.0000  0.5000  0.7629
Se  0.5000  0.0000  0.7629
+++
Request =
Please say how many lines of the notes above hold the word "Co1", as a bare number.
Response =
1